February 17, 2025
Yesterday I talked about how the Tongue is our Rudder...it kind of falls in line
with, expect a miracle get a miracle...when you are expecting a package in the
mail you are confident it is coming and when someone asks about it you can say
"Yea, I'm getting it in the mail" you KNOW it's coming...same thing
with a miracle...when you have faith you know it's coming. But now that you have
that lesson under your belt...you have to have the next in order to have
effective prayer...
God has made THOUSANDS of promises to us in the Bible...and He has some
requirements that have to be met before He can honor some of those promises. The
Lord has chosen you, for what you may not know yet, so now you are humbled, you
are praying constantly crying our for Him to help you but your not getting an
answer or any feedback on your petition...
Are you living your life as righteous as possible? Can you stand in front of God
right now and be proud of your life, the way you live, talk, think, react, etc?
Can people walk away from you after a conversation and say.."You know ----
is a good person, she lives her life the way a life should be lived, she is a
godly woman and it shows"?
Take a look at your lifestyle, are you hanging out with people that are doing
the complete opposite of what you are trying to make your life? If so it may be
time for a little spring cleaning...
When I considered my righteousness, I just imagined Jesus walking by my side ALL
DAY long... would I do some of the things I do if He were there visibly? HECK
NO!!! I started to live each day as if I could physically see the Lord next to
me and I adjusted my ways accordingly...it was then that I started seeing ALL of
my prayers answered.... We may not be able to see Jesus with our eyes...but he
is there...Make Him proud of you...whatever you have in your life that you KNOW
**Attached: crystal structures**
~~~
Calculated powder diffractogram of Mn5CrRu2 for CuKα, from a crystal structure in Alexandria, relaxed with GGA-PBE.
Neutral-atom scattering factors, no anomalous dispersion.

Atomic structure:
```
Mn5CrRu2
1.0
4.4512 0.0000 0.0000
0.0000 5.2586 0.0000
-1.4024 0.0000 4.2649
Mn Cr Ru
5 1 2
direct
0.0000 0.0000 0.0000
0.0000 0.2379 0.5000
0.5000 0.2361 0.0000
0.5000 0.4877 0.5000
0.5000 0.9909 0.5000
0.5000 0.7408 0.0000
0.0000 0.4909 0.0000
0.0000 0.7471 0.5000
```

The 10 most intense peaks (2θ = 5–70°), in order of rising 2θ:
5.259 Å, rel. 6, hkl 0 1 0
4.228 Å, rel. 10, hkl 1 0 0
3.312 Å, rel. 6, hkl 0 1 1
3.295 Å, rel. 5, hkl 1 1 0
2.982 Å, rel. 5, hkl 1 1 -1
2.132 Å, rel. 51, hkl 0 0 2
2.128 Å, rel. 100, hkl 1 2 -1
2.114 Å, rel. 49, hkl 2 0 0
1.856 Å, rel. 64, hkl 1 2 1
1.811 Å, rel. 30, hkl 2 0 -2
~~~
**End of the crystal structures**
is not righteous throw it away, if you don't know how...ask The Lord to help
you...and he will. I knew that developing porn sites was wrong...but the $20K
per week it brought it felt so very right...I KNEW I had to let it go and trust
God would take care of me...but I had a hard time doing it...then one night the
Lord spoke to me, He said "Shell...do you love Scott enough to give up all
of that? and more importantly...Do you Love ME enough to give up all of
that?" I dropped my current $12,000 contract THAT MINUTE!!! I felt so good
[These data records were left in the piece by mistake]
-- begin --
Computed powder XRD pattern of Li3Ni5O10 for λ = 1.5418 Å (Cu Kα), from a crystal structure in the Materials Project, relaxed with GGA+U.
Neutral-atom scattering factors, no anomalous dispersion.

abc: 4.9910 5.8501 6.4935
angles: 105.39 96.95 106.04
Space group P-1 (No. 2)
One atom of each set of equivalent atoms:
Li 0.0000 0.0000 0.0000 (multiplicity 1)
Li 0.2019 0.3982 0.3951 (multiplicity 2)
Ni 0.0000 0.5000 0.0000 (multiplicity 1)
Ni 0.2017 0.9008 0.4009 (multiplicity 2)
Ni 0.3991 0.2942 0.8062 (multiplicity 2)
O 0.0666 0.4192 0.7108 (multiplicity 2)
O 0.0770 0.9591 0.6718 (multiplicity 2)
O 0.2684 0.8269 0.1169 (multiplicity 2)
O 0.2807 0.3703 0.0857 (multiplicity 2)
O 0.4947 0.2195 0.5159 (multiplicity 2)

Principal peaks in the range 10° ≤ 2θ ≤ 90°, most intense first:
d [Å]	Rel. int.
4.845	100
2.054	37
2.034	18
2.421	16
2.458	12
2.449	12
1.444	5
-- stop --
afterwards...like God was smiling down on me...I try every single minute of
every single day to make Him smile down on me... Do you? You want Him to listen
to you? You want Him to answer you? Then Be the person He needs you to be to
serve HIM!!! God Bless each and everyone of you on your new way of righteous
The Third Step to Effective Prayers - PRAISE PRAISE PRAISE!! - Coming tomorrow
Until we pray again... KEEP ON KEEPING ON